
My cell phone rings, I never get a break. I answer it quickly, the people I deal with are impatient assholes. "Lexa Belle?"

I hear an unfamiliar voice from the other side, "I was given your number from a mutual friend, I need your services."

"Who was the friend? I am unfamiliar with your number and I don't like strangers."

"Oh Yeah, I am sorry, they told me I needed to identify myself and give you my name first. I apologize, I have never needed anybody's help but my own. This is new to me. My name is Branton James. I was given your name by Sam and Jonas Williams, ma'am." He said quickly.

"Meet me in an hour, I will text you the address. Do not be late and do not assume because I am meeting you that I will agree to take the job. I am only agreeing to a meeting" I hang up not waiting for his response. I quickly text him the address of my security agency then shoot a quick text to my business partner and best friend Donya. I always have her with me for first time meet ups, no matter who sent them to me. She has been my best friend since I was 8. My dad was the best assassin for hire in the United States along with being a personal bodyguard to a powerful mafia family. My dad trained me to be an assassin since I could walk when I met Donya, he started training her as well. I chose to work for my dad when I finished high school but she chose to go to college. Three years ago my father became another assassins job and he was taken from me. I was lost and did not know where to turn so I went to my best friends dorm room and together we changed our lives.


I am close to tears as I pull up to Donya's dorm. I won't cry. I can't. I get out and trudge to her dorm door and knock.

"Come in" I hear Donya's voice yell from inside.

I open the door and launch myself at her.


"What honey? Your not making sense. Did you say your dad is dead?"

"YES!" I yell.

She takes my hands and guides me to the bed and speaks calmly, " Ok Hun, breath for me for a second then gather yourself and explain."

The article is interrupted by data records.
'''
(1)
# Hf2N2O, optimized geometry, DFT r2SCAN
# magnetic moment: 0.00 μB per cell
# energy: -25.4784 eV/atom
# energy of formation: -59.31 kcal/mol of atoms
data_Hf2N2O
_chemical_formula_sum 'Hf16 N16 O8'
_space_group_name_H-M_alt 'P 1'
_space_group_IT_number 1
_cell_length_a 8.669
_cell_length_b 8.670
_cell_length_c 8.675
_cell_angle_alpha 109.41
_cell_angle_beta 109.53
_cell_angle_gamma 109.43
loop_
_space_group_symop_operation_xyz
'x,y,z'
loop_
_atom_site_label
_atom_site_type_symbol
_atom_site_fract_x
_atom_site_fract_y
_atom_site_fract_z
Hf1 Hf 0.997 0.508 0.006
Hf2 Hf 0.720 0.457 0.249
Hf3 Hf 0.215 0.965 0.250
Hf4 Hf 0.031 0.750 0.779
Hf5 Hf 0.780 0.031 0.745
Hf6 Hf 0.250 0.714 0.466
Hf7 Hf 0.996 0.009 0.505
Hf8 Hf 0.759 0.789 0.035
Hf9 Hf 0.532 0.755 0.295
Hf10 Hf 0.513 0.502 0.509
Hf11 Hf 0.955 0.240 0.212
Hf12 Hf 0.248 0.214 0.954
Hf13 Hf 0.505 0.006 0.995
Hf14 Hf 0.471 0.257 0.717
Hf15 Hf 0.743 0.280 0.533
Hf16 Hf 0.291 0.538 0.751
N1 N 0.014 0.047 0.278
N2 N 0.261 0.770 0.728
N3 N 0.773 0.545 0.533
N4 N 0.954 0.727 0.985
N5 N 0.543 0.536 0.772
N6 N 0.994 0.959 0.732
N7 N 0.506 0.236 0.966
N8 N 0.731 0.263 0.776
N9 N 0.758 0.030 0.483
N10 N 0.967 0.512 0.239
N11 N 0.532 0.768 0.544
N12 N 0.274 0.741 0.225
N13 N 0.728 0.988 0.955
N14 N 0.737 0.223 0.271
N15 N 0.222 0.274 0.736
N16 N 0.463 0.226 0.452
O1 O 0.037 0.488 0.764
O2 O 0.488 0.757 0.034
O3 O 0.766 0.723 0.257
O4 O 0.238 0.963 0.511
O5 O 0.451 0.465 0.225
O6 O 0.275 0.013 0.048
O7 O 0.227 0.454 0.465
O8 O 0.054 0.278 0.018

(2)
# Hf2N2O, optimized geometry, DFT r2SCAN
# magnetic moment: 0.00 μB per cell
# energy: -25.4780 eV/atom
# energy of formation: -59.30 kcal/mol of atoms
data_Hf2N2O
_chemical_formula_sum 'Hf16 N16 O8'
_space_group_name_H-M_alt 'P 1'
_space_group_IT_number 1
_cell_length_a 8.649
_cell_length_b 8.669
_cell_length_c 8.672
_cell_angle_alpha 109.41
_cell_angle_beta 109.33
_cell_angle_gamma 109.38
loop_
_space_group_symop_operation_xyz
'x,y,z'
loop_
_atom_site_label
_atom_site_type_symbol
_atom_site_fract_x
_atom_site_fract_y
_atom_site_fract_z
Hf1 Hf 0.465 0.217 0.758
Hf2 Hf 0.254 0.964 0.213
Hf3 Hf 0.966 0.713 0.741
Hf4 Hf 0.283 0.245 0.027
Hf5 Hf 0.511 0.509 0.516
Hf6 Hf 0.224 0.753 0.473
Hf7 Hf 0.529 0.793 0.249
Hf8 Hf 0.788 0.250 0.531
Hf9 Hf 0.748 0.532 0.288
Hf10 Hf 0.492 0.998 0.997
Hf11 Hf 0.042 0.292 0.257
Hf12 Hf 0.249 0.464 0.713
Hf13 Hf 0.705 0.743 0.959
Hf14 Hf 0.010 0.497 0.996
Hf15 Hf 0.998 0.005 0.508
Hf16 Hf 0.752 0.032 0.782
O1 O 0.237 0.016 0.461
O2 O 0.490 0.535 0.261
O3 O 0.772 0.758 0.226
O4 O 0.730 0.277 0.765
O5 O 0.949 0.484 0.224
O6 O 0.962 0.736 0.019
O7 O 0.774 0.035 0.048
O8 O 0.263 0.228 0.276
N1 N 0.516 0.464 0.739
N2 N 0.268 0.725 0.236
N3 N 0.458 0.729 0.967
N4 N 0.044 0.512 0.775
N5 N 0.740 0.774 0.734
N6 N 0.723 0.452 0.483
N7 N 0.761 0.988 0.535
N8 N 0.469 0.958 0.726
N9 N 0.224 0.967 0.958
N10 N 0.550 0.276 0.036
N11 N 0.530 0.046 0.273
N12 N 0.034 0.264 0.993
N13 N 0.225 0.233 0.769
N14 N 0.270 0.542 0.505
'''

I take a deep breath.

"Where is your roommate?" I ask before getting into the story.

" My roommate left school, we are safe to talk freely."

"Dad was killed, The Bowen brothers put a hit out on him. What do I do now?"

" Lexa, it is the nature of what you do. Do you like killing for money, not knowing whether they deserve it or not?" she asks me carefully, almost as if she is scared of my reaction.

" Donya, it is what I was trained to do, it is who I am."

" No Lexa, it is who your dad was. You only followed his lead. Who protects the truly innocent people from people like you?"


"What have you never wondered if the people you are sent to kill, actually deserve to die?"

I ponder her question before I answer, "Yes, of course I do, but I was taught not to think about that, just do what I am ordered. There is no place in my world for those thoughts. They would make me hesitate and hesitation gets you killed."

She looks me in my eyes and decisively says, " I think it is time for us to flip your script. How much money do you have?"

"Between my bank account and what my dad left behind, I have enough money for my next 3 generations to live very well and never have to work again. What are you getting at?"

"Lex, you are one of the most dangerous women alive. I think we should start a security agency. I leave college, we find an office building and start protecting the innocent from people like you, your dad and much worse."

"Ok Don, I'll bite, but who in their right mind would hire women to be their bodyguard?"

"It's simple" she says, "I video you training, sparring, shooting, and knife throwing. I build a website and post it on the dark web."

"Don, we can't post my face to the dark web, I would be recognized."

She gives me a small smirk and says, " I will be the face of the agency. Your face will always be covered. I meet with the clients first and do their background checks. You do you, and I will be your back up."

END OF FLASHBACK>>>>>>>>>>>>>>>>

We have built quite the reputation since then. I once got a call from someone that needed a bodyguard but wanted me to pose as his date to maintain his superiority complex. I took the job and he turned out to be a member of a powerful mafia family. A rival family wanted to eliminate him because he was next in line to take the crown of his family's mafia. I took out the assassin discreetly and without any suspicion. Word got around.

You may think mafia takes care of their own problems, I did, but come to find out there is more politics in the criminal underworld than there are in Washington DC.

We now have a staff of 3 men and 2 women that do the bodyguard gigs. I now focus on the special jobs. I only take male clients that are under immediate threat of death. I pose as their girlfriend, arm candy if you will. I go everywhere with them and live in their home so, to the outside world, I am the flavor of the week. I do not have sex with clients, I am definitely not that kind of girl. I am 25 and I have had only one sexual partner. He was my boyfriend, I met him at work, he was one of the bodyguards we employ. We were together for 3 years, the dumbass cheated on me. He is no longer employed, well or breathing. Hey, he knew who I was, what I do, and what I was capable of so in reality he was a security threat to me and really, did I mention stupid? Anyway back to my clients. The client and I live in this little act until the threat makes a move, I then either detain or eliminate the threat, whichever the situation calls for. I have a cleaner team if elimination is necessary, torture chambers and cells if information is needed and I know how to play the cops when legal detention is due. The clientele we serve consists of athletes, celebrities, mafia, and CEO'S of multi billion dollar corporations. I have several identities and change my appearance when warranted, though I have one mafia family I work closely with and knows my true identity. The Williams Family mafia. They are the number 2 mafia in the world in the Mafia Hierarchy. They control all mafia dealings in the United States. My dad was their personal assassin, bodyguard and friend. They are in the small group of people I allow in. I consider them family. Now you know.